[The excerpts below were written by David E. Joyce, Professor of Mathematics and Computer Science at Clark University.]

* EXCERPT: The concept of angle is one of the most important concepts in geometry. The concepts of equality, sums, and differences of angles are important and used throughout geometry, but the subject of trigonometry is based on the measurement of angles.

There are two commonly used units of measurement for angles. The more familiar unit of measurement is that of degrees. A circle is divided into 360 equal degrees, so that a right angle is 90°... Degrees may be further divided into minutes and seconds, but that division is not as universal as it used to be. Parts of a degree are now frequently referred to decimally. For instance seven and a half degrees is now usually written 7.5°. Each degree is divided into 60 equal parts called minutes. So seven and a half degrees can be called 7 degrees and 30 minutes, written 7° 30'. Each minute is further divided into 60 equal parts called seconds, and, for instance, 2 degrees 5 minutes 30 seconds is written 2° 5' 30". The division of degrees into minutes and seconds of angle is analogous to the division of hours into minutes and seconds of time.

Usually when a single angle is drawn on a xy-plane for analysis, we'll draw it with the vertex at the origin (0,0), one side of the angle along the x-axis, and the other side above the x-axis.

## These records of crystals were left in the text by mistake
/*
1.
{"formula": "K3Th", "functional": "GGA-PBE", "state": "relaxed", "space_group": "Pm-3m, No. 221", "e_above_lowest_polymorph_kj_per_mol_fu": 3, "cell": [[6.018, 0.000, 0.000], [0.000, 6.018, 0.000], [0.000, 0.000, 6.018]], "species": ["K", "K", "K", "Th"], "frac_coords": [[0.000, 0.000, 0.500], [0.000, 0.500, 0.000], [0.500, 0.000, 0.000], [0.500, 0.500, 0.500]]}



2.
{"formula": "AgH5S2O9", "functional": "GGA-PBE", "state": "relaxed", "space_group": "P2_1/c, No. 14", "cell": [[7.410, 0.000, 0.000], [0.000, 13.307, 0.000], [-2.522, 0.000, 7.890]], "species": ["Ag", "Ag", "Ag", "Ag", "H", "H", "H", "H", "H", "H", "H", "H", "H", "H", "H", "H", "H", "H", "H", "H", "H", "H", "H", "H", "S", "S", "S", "S", "S", "S", "S", "S", "O", "O", "O", "O", "O", "O", "O", "O", "O", "O", "O", "O", "O", "O", "O", "O", "O", "O", "O", "O", "O", "O", "O", "O", "O", "O", "O", "O", "O", "O", "O", "O", "O", "O", "O", "O"], "frac_coords": [[0.103, 0.038, 0.278], [0.103, 0.462, 0.778], [0.897, 0.538, 0.222], [0.897, 0.962, 0.722], [0.141, 0.721, 0.954], [0.141, 0.779, 0.454], [0.313, 0.228, 0.545], [0.313, 0.272, 0.045], [0.365, 0.568, 0.477], [0.365, 0.932, 0.977], [0.454, 0.201, 0.205], [0.454, 0.299, 0.705], [0.466, 0.171, 0.717], [0.466, 0.329, 0.217], [0.534, 0.671, 0.783], [0.534, 0.829, 0.283], [0.546, 0.701, 0.295], [0.546, 0.799, 0.795], [0.635, 0.068, 0.023], [0.635, 0.432, 0.523], [0.687, 0.728, 0.955], [0.687, 0.772, 0.455], [0.859, 0.221, 0.546], [0.859, 0.279, 0.046], [0.006, 0.695, 0.612], [0.006, 0.805, 0.112], [0.396, 0.520, 0.235], [0.396, 0.980, 0.735], [0.604, 0.020, 0.265], [0.604, 0.480, 0.765], [0.994, 0.195, 0.888], [0.994, 0.305, 0.388], [0.076, 0.114, 0.007], [0.076, 0.386, 0.507], [0.090, 0.656, 0.786], [0.090, 0.844, 0.286], [0.132, 0.223, 0.397], [0.132, 0.277, 0.897], [0.181, 0.742, 0.568], [0.181, 0.758, 0.068], [0.249, 0.008, 0.582], [0.249, 0.492, 0.082], [0.285, 0.566, 0.353], [0.285, 0.934, 0.853], [0.442, 0.232, 0.639], [0.442, 0.268, 0.139], [0.468, 0.096, 0.287], [0.468, 0.404, 0.787], [0.500, 0.070, 0.827], [0.500, 0.430, 0.327], [0.500, 0.570, 0.673], [0.500, 0.930, 0.173], [0.532, 0.596, 0.213], [0.532, 0.904, 0.713], [0.558, 0.732, 0.861], [0.558, 0.768, 0.361], [0.715, 0.066, 0.147], [0.715, 0.434, 0.647], [0.751, 0.508, 0.918], [0.751, 0.992, 0.418], [0.819, 0.242, 0.932], [0.819, 0.258, 0.432], [0.868, 0.723, 0.103], [0.868, 0.777, 0.603], [0.910, 0.156, 0.714], [0.910, 0.344, 0.214], [0.924, 0.614, 0.493], [0.924, 0.886, 0.993]]}



3.
*/

The other common measurement for angles is radians. For this measurement, consider the unit circle (a circle of radius 1) whose center is the vertex of the angle in question. Then the angle cuts off an arc of the circle, and the length of that arc is the radian measure of the angle. It is easy to convert between degree measurement and radian measurement. The circumference of the entire circle is 2pi (pi is about 3.14159), so it follows that 360° equals 2pi radians. Hence, 1° equals pi/180 radians, and 1 radian equals 180/pi degrees.

Although the word "radian" was coined by Thomas Muir and/or James Thompson about 1870, mathematicians had been measuring angles that way for a long time. For instance, Leonhard Euler (1707-1783) in his Elements of Algebra explicitly said to measure angles by the length of the arc cut off in the unit circle. That was necessary to give his famous formula involving complex numbers that relates the sign and cosine functions to the exponential function where t is what was later called the radian measurment of the angle.

## Between two parts of the text: materials data
Record 1
The following is a r²SCAN calculation of an optimized crystal structure of MnSb2Se4, from Materials Project.

Cell lengths 13.3080, 3.9780, 15.8865 Å; angles 90.00, 114.68, 90.00 degrees
Space group C2/m (No. 12)
Unique sites:
Mn: 0.0000 0.0000 0.0000 [2 per cell]
Mn: 0.0000 0.0000 0.5000 [2 per cell]
Sb: 0.1423 0.5000 0.3721 [4 per cell]
Sb: 0.2336 0.0000 0.8771 [4 per cell]
Se: 0.0111 0.0000 0.6701 [4 per cell]
Se: 0.1081 0.5000 0.9542 [4 per cell]
Se: 0.1566 0.5000 0.5411 [4 per cell]
Se: 0.1635 0.0000 0.1737 [4 per cell]

Computed properties:
* ρ: 5.339 g/cm3
* VASP energy: -18.116 eV per atom
* total moment: 5.00 μB/f.u.
* DFT formation energy: -495 meV per atom

---

Record 2
The following is a r²SCAN calculation of an optimized crystal structure of Pr5Ge3, from Materials Project.

Cell lengths 8.8998, 8.8998, 6.8271 Å; angles 90.00, 90.00, 120.00 degrees
Space group P6_3/mcm (No. 193)
Unique sites:
Pr: 0.0000 0.2473 0.2500 [6 per cell]
Pr: 0.3333 0.6667 0.0000 [4 per cell]
Ge: 0.0000 0.3922 0.7500 [6 per cell]

Computed properties:
* ρ: 6.542 g/cm3
* VASP energy: -24.370 eV per atom
* total moment: 0.97 μB/f.u.
* DFT formation energy: -790 meV per atom

---

Record 3
The following is a r²SCAN calculation of an optimized crystal structure of TbRh3C, from Materials Project.

Cell lengths 4.1554, 4.1554, 4.1554 Å; angles 90.00, 90.00, 90.00 degrees
Space group Pm-3m (No. 221)
Unique sites:
Tb: 0.0000 0.0000 0.0000 [1 per cell]
Rh: 0.0000 0.5000 0.5000 [3 per cell]
C: 0.5000 0.5000 0.5000 [1 per cell]

Computed properties:
* ρ: 11.101 g/cm3
* VASP energy: -23.281 eV per atom
* total moment: 0.00 μB/f.u.
* DFT formation energy: -564 meV per atom

---

Record 4
The following is a r²SCAN calculation of an optimized crystal structure of Sr2P2O7, from Materials Project.

Cell lengths 8.9169, 5.3961, 13.1781 Å; angles 90.00, 90.00, 90.00 degrees
Space group Pnma (No. 62)
Unique sites:
Sr: 0.1250 0.2500 0.0868 [4 per cell]
Sr: 0.1721 0.2500 0.7602 [4 per cell]
P: 0.0326 0.2500 0.3174 [4 per cell]
P: 0.2235 0.7500 0.9645 [4 per cell]
O: 0.0838 0.0174 0.2623 [8 per cell]
O: 0.1054 0.2500 0.4292 [4 per cell]
O: 0.1345 0.7500 0.6666 [4 per cell]
O: 0.1462 0.5186 0.9234 [8 per cell]
O: 0.2257 0.7500 0.0792 [4 per cell]

Computed properties:
* ρ: 3.658 g/cm3
* VASP energy: -11.232 eV per atom
* total moment: 0.00 μB/f.u.
* DFT formation energy: -3041 meV per atom

---

Record 5
The following is a r²SCAN calculation of an optimized crystal structure of ScNbTc2, from Materials Project.

Cell lengths 6.4024, 6.4024, 6.4024 Å; angles 90.00, 90.00, 90.00 degrees
Space group Fm-3m (No. 225)
Unique sites:
Sc: 0.0000 0.0000 0.0000 [4 per cell]
Nb: 0.0000 0.0000 0.5000 [4 per cell]
Tc: 0.2500 0.2500 0.2500 [8 per cell]

Computed properties:
* ρ: 8.450 g/cm3
* VASP energy: -22.276 eV per atom
* total moment: 0.00 μB/f.u.
* DFT formation energy: -261 meV per atom

---

Record 6

Radians and arc length: An alternate definition of radians is sometimes given as a ratio. Instead of taking the unit circle with center at the vertex of the angle, take any circle with center at the vertex of the angle. Then the radian measure of the angle is the ratio of the length of the subtended arc to the radius of the circle. For instance, if the length of the arc is 3 and the radius of the circle is 2, then the radian measure is 1.5. The reason that this definition works is that the length of the subtended arc is proportional to the radius of the circle. In particular, the definition in terms of a ratio gives the same figure as that given above using the unit circle. This alternate definition is more useful, however, since you can use it to relate lengths of arcs to angles. The formula for this relation is radian measure times radius = arc length. For instance, an arc of 0.3 radians in a circle of radius 4 has length 0.3 times 4, that is, 1.2. * END EXCERPT *

According to the Zodiac's instructions, his code and map clues concerned "radians and # inches along the radians."

The Zodiac also stated that the ZERO of the crossed-circle on the peak of Mt. Diablo was to be "set" to Magnetic North. The illustration below demonstrates the results achieved when following the Zodiac's instructions. The number of radians along the circumference of the circle are represented in red.

The geographic and geometric relationships created by the Zodiac locations and Mt. Diablo is not an interpretation or a theory but an undeniable fact. One may be tempted to dismiss these alignments as coincidence if the Zodiac had not sent a map with a crossed-circle on the peak of the one major benchmark in Northern California and cited instructions regarding radians and inches. The Zodiac claimed that the code which accompanied the map and letter would provide the information needed to identify and find a specific location. Until the code is deciphered, no one can know the Zodiac's true intentions but the alignments created by the scenes he chose to mark with murder indicates that these geographic and geometric relationships may be the product of deliberate design.